Below is C5H13IN as an isolated structure at a distorted geometry, with properties calculated with the ωB97M-V functional and the def2-TZVPD basis.

Each line ends with the natural charge from an NBO analysis.
Positions of all 20 atoms, in Å:
1 C 1.34950 -1.51652 -0.33245  -0.681
2 C -0.41740 -1.25954 1.41780  -0.636
3 C 0.01455 2.15973 0.18251  -0.567
4 C 0.74981 -0.62802 0.62676  -0.076
5 C 0.10828 0.85377 -0.54986  -0.081
6 N -1.27695 0.34413 -1.05264  -0.730
7 I -0.45417 3.82259 -1.26608  0.083
8 H 1.26209 -2.56460 -0.14259  0.248
9 H 0.83589 -1.59971 -1.25499  0.203
10 H 2.40031 -1.32594 -0.43451  0.244
11 H -1.08195 -1.74463 0.77402  0.189
12 H 0.05853 -2.01697 1.96559  0.248
13 H -1.04999 -0.62539 1.93567  0.217
14 H -0.87383 2.29312 0.91437  0.253
15 H 1.04507 2.39820 0.70503  0.292
16 H 1.45343 -0.24860 1.32039  0.217
17 H 0.80395 0.69549 -1.27810  0.221
18 H -1.91504 0.59981 -0.25733  0.447
19 H -1.40651 -0.60825 -1.42984  0.456
20 H -1.60557 0.97134 -1.84375  0.452

Results
Charge = +1
Orbital gap = 0.34876 Ha
LUMO energy = -3.67 eV
E = -14977.7609 eV
HOMO = -13.163 eV

Transcribe the calculation results earlier on without additions.

Below is C5H13IN as an isolated structure at a distorted geometry, with properties calculated with the ωB97M-V functional and the def2-TZVPD basis.

Each line ends with the natural charge from an NBO analysis.
Positions of all 20 atoms, in Å:
1 C 1.34950 -1.51652 -0.33245  -0.681
2 C -0.41740 -1.25954 1.41780  -0.636
3 C 0.01455 2.15973 0.18251  -0.567
4 C 0.74981 -0.62802 0.62676  -0.076
5 C 0.10828 0.85377 -0.54986  -0.081
6 N -1.27695 0.34413 -1.05264  -0.730
7 I -0.45417 3.82259 -1.26608  0.083
8 H 1.26209 -2.56460 -0.14259  0.248
9 H 0.83589 -1.59971 -1.25499  0.203
10 H 2.40031 -1.32594 -0.43451  0.244
11 H -1.08195 -1.74463 0.77402  0.189
12 H 0.05853 -2.01697 1.96559  0.248
13 H -1.04999 -0.62539 1.93567  0.217
14 H -0.87383 2.29312 0.91437  0.253
15 H 1.04507 2.39820 0.70503  0.292
16 H 1.45343 -0.24860 1.32039  0.217
17 H 0.80395 0.69549 -1.27810  0.221
18 H -1.91504 0.59981 -0.25733  0.447
19 H -1.40651 -0.60825 -1.42984  0.456
20 H -1.60557 0.97134 -1.84375  0.452

Results
Charge = +1
Orbital gap = 0.34876 Ha
LUMO energy = -3.67 eV
E = -14977.7609 eV
HOMO = -13.163 eV